- - -
Entry 1:
Calculated powder diffraction line list of Li2CeCu2Se4 for CuKα, from a structure optimized by DFT (GGA-PBE).

Atomic structure:
a = 7.6109 Å, b = 7.6109 Å, c = 7.6626 Å
α = 119.81°, β = 119.81°, γ = 30.00°
Sites, in units of the cell vectors:
Li (0.1277, 0.1277, 0.1614)
Li (0.8723, 0.8723, 0.8386)
Ce (0.0000, 0.0000, 0.5000)
Cu (0.3192, 0.3192, 0.1190)
Cu (0.6808, 0.6808, 0.8810)
Se (0.2273, 0.2273, 0.7376)
Se (0.4914, 0.4914, 0.7645)
Se (0.5086, 0.5086, 0.2355)
Se (0.7727, 0.7727, 0.2624)

The 12 most intense peaks (15 to 90 degrees two-theta), in order of falling intensity:
| 2θ (°) | I_rel |
| --- | --- |
| 33.38 | 100 |
| 38.49 | 54 |
| 25.42 | 53 |
| 28.32 | 44 |
| 49.19 | 32 |
| 46.08 | 27 |
| 48.91 | 22 |
| 42.17 | 21 |
| 37.47 | 18 |
| 47.46 | 15 |
| 54.97 | 13 |
| 51.41 | 11 |



Entry 2:
Calculated powder diffraction line list of CeLu2Cu for CuKα, from a structure optimized by DFT (GGA-PBE).

Atomic structure:
a = 3.4201 Å, b = 3.4201 Å, c = 8.4305 Å
α = 90.00°, β = 90.00°, γ = 90.00°
Sites, in units of the cell vectors:
Ce (0.0000, 0.0000, 0.0000)
Lu (0.5000, 0.5000, 0.3042)
Lu (0.5000, 0.5000, 0.6958)
Cu (0.0000, 0.0000, 0.5000)

The 12 most intense peaks (15 to 90 degrees two-theta), in order of falling intensity:
| 2θ (°) | I_rel |
| --- | --- |
| 33.75 | 100 |
| 37.18 | 52 |
| 64.85 | 30 |
| 28.16 | 24 |
| 49.74 | 20 |
| 53.59 | 18 |
| 31.84 | 17 |
| 61.30 | 14 |
| 41.59 | 13 |
| 85.77 | 11 |
| 63.70 | 10 |
| 26.05 | 8 |



Entry 3:
Calculated powder diffraction line list of CeMg11Cu for CuKα, from a structure optimized by DFT (GGA-PBE).

Atomic structure:
a = 7.7700 Å, b = 7.7700 Å, c = 7.6633 Å
α = 97.18°, β = 97.18°, γ = 137.27°
Sites, in units of the cell vectors:
Ce (0.0000, 0.0000, 0.0000)
Mg (0.0000, 0.0000, 0.5000)
Mg (0.0000, 0.5000, 0.0000)
Mg (0.0094, 0.3529, 0.3583)
Mg (0.3007, 0.5070, 0.7796)
Mg (0.3529, 0.0094, 0.3583)
Mg (0.4930, 0.6993, 0.2204)
Mg (0.5000, 0.0000, 0.0000)
Mg (0.5070, 0.3007, 0.7796)
Mg (0.6471, 0.9906, 0.6417)
Mg (0.6993, 0.4930, 0.2204)
Mg (0.9906, 0.6471, 0.6417)
Cu (0.5000, 0.5000, 0.5000)

The 12 most intense peaks (15 to 90 degrees two-theta), in order of falling intensity:
| 2θ (°) | I_rel |
| --- | --- |
| 35.16 | 100 |
| 35.96 | 100 |
| 18.07 | 58 |
| 24.75 | 56 |
| 30.38 | 56 |
| 36.62 | 49 |
| 35.47 | 42 |
| 27.66 | 39 |
| 25.14 | 34 |
| 30.94 | 23 |
| 35.30 | 23 |
| 63.24 | 22 |



Entry 4:
Calculated powder diffraction line list of CeMgCu for CuKα, from a structure optimized by DFT (GGA-PBE).

Atomic structure:
a = 7.4545 Å, b = 7.4545 Å, c = 4.1376 Å
α = 90.00°, β = 90.00°, γ = 120.00°
Sites, in units of the cell vectors:
Ce (0.0000, 0.4193, 0.0000)
Ce (0.4193, 0.0000, 0.0000)
Ce (0.5807, 0.5807, 0.0000)
Mg (0.0000, 0.7612, 0.5000)
Mg (0.2388, 0.2388, 0.5000)
Mg (0.7612, 0.0000, 0.5000)
Cu (0.0000, 0.0000, 0.0000)
Cu (0.3333, 0.6667, 0.5000)
Cu (0.6667, 0.3333, 0.5000)

The 12 most intense peaks (15 to 90 degrees two-theta), in order of falling intensity:
| 2θ (°) | I_rel |
| --- | --- |
| 35.27 | 100 |
| 32.33 | 86 |
| 27.63 | 32 |
| 55.96 | 31 |
| 36.84 | 29 |
| 23.87 | 28 |
| 51.01 | 23 |
| 43.76 | 22 |
| 21.48 | 21 |
| 41.98 | 18 |
| 67.13 | 18 |
| 69.42 | 18 |



Entry 5:
Calculated powder diffraction line list of CeMg6Cu6 for CuKα, from a structure optimized by DFT (GGA-PBE).

Atomic structure:
a = 7.0454 Å, b = 7.0454 Å, c = 7.0454 Å
α = 136.41°, β = 98.29°, γ = 97.56°
Sites, in units of the cell vectors:
Ce (0.0000, 0.0000, 0.0000)
Mg (0.1928, 0.6928, 0.5000)
Mg (0.3387, 0.0000, 0.3387)
Mg (0.3467, 0.3467, 0.0000)
Mg (0.6533, 0.6533, 0.0000)
Mg (0.6613, 0.0000, 0.6613)
Mg (0.8072, 0.3072, 0.5000)
Cu (0.0000, 0.0000, 0.5000)
Cu (0.0000, 0.5000, 0.0000)
Cu (0.2273, 0.5000, 0.7273)
Cu (0.5000, 0.0000, 0.0000)
Cu (0.5000, 0.5000, 0.5000)
Cu (0.7727, 0.5000, 0.2727)

The 12 most intense peaks (15 to 90 degrees two-theta), in order of falling intensity:
| 2θ (°) | I_rel |
| --- | --- |
| 39.09 | 100 |
| 39.56 | 74 |
| 27.50 | 49 |
| 38.79 | 30 |
- - -

Echo the entries further above from the line with "(0.6471, 0.9906," to the end without altering anything, please.

Mg (0.6471, 0.9906, 0.6417)
Mg (0.6993, 0.4930, 0.2204)
Mg (0.9906, 0.6471, 0.6417)
Cu (0.5000, 0.5000, 0.5000)

The 12 most intense peaks (15 to 90 degrees two-theta), in order of falling intensity:
| 2θ (°) | I_rel |
| --- | --- |
| 35.16 | 100 |
| 35.96 | 100 |
| 18.07 | 58 |
| 24.75 | 56 |
| 30.38 | 56 |
| 36.62 | 49 |
| 35.47 | 42 |
| 27.66 | 39 |
| 25.14 | 34 |
| 30.94 | 23 |
| 35.30 | 23 |
| 63.24 | 22 |



Entry 4:
Calculated powder diffraction line list of CeMgCu for CuKα, from a structure optimized by DFT (GGA-PBE).

Atomic structure:
a = 7.4545 Å, b = 7.4545 Å, c = 4.1376 Å
α = 90.00°, β = 90.00°, γ = 120.00°
Sites, in units of the cell vectors:
Ce (0.0000, 0.4193, 0.0000)
Ce (0.4193, 0.0000, 0.0000)
Ce (0.5807, 0.5807, 0.0000)
Mg (0.0000, 0.7612, 0.5000)
Mg (0.2388, 0.2388, 0.5000)
Mg (0.7612, 0.0000, 0.5000)
Cu (0.0000, 0.0000, 0.0000)
Cu (0.3333, 0.6667, 0.5000)
Cu (0.6667, 0.3333, 0.5000)

The 12 most intense peaks (15 to 90 degrees two-theta), in order of falling intensity:
| 2θ (°) | I_rel |
| --- | --- |
| 35.27 | 100 |
| 32.33 | 86 |
| 27.63 | 32 |
| 55.96 | 31 |
| 36.84 | 29 |
| 23.87 | 28 |
| 51.01 | 23 |
| 43.76 | 22 |
| 21.48 | 21 |
| 41.98 | 18 |
| 67.13 | 18 |
| 69.42 | 18 |



Entry 5:
Calculated powder diffraction line list of CeMg6Cu6 for CuKα, from a structure optimized by DFT (GGA-PBE).

Atomic structure:
a = 7.0454 Å, b = 7.0454 Å, c = 7.0454 Å
α = 136.41°, β = 98.29°, γ = 97.56°
Sites, in units of the cell vectors:
Ce (0.0000, 0.0000, 0.0000)
Mg (0.1928, 0.6928, 0.5000)
Mg (0.3387, 0.0000, 0.3387)
Mg (0.3467, 0.3467, 0.0000)
Mg (0.6533, 0.6533, 0.0000)
Mg (0.6613, 0.0000, 0.6613)
Mg (0.8072, 0.3072, 0.5000)
Cu (0.0000, 0.0000, 0.5000)
Cu (0.0000, 0.5000, 0.0000)
Cu (0.2273, 0.5000, 0.7273)
Cu (0.5000, 0.0000, 0.0000)
Cu (0.5000, 0.5000, 0.5000)
Cu (0.7727, 0.5000, 0.2727)

The 12 most intense peaks (15 to 90 degrees two-theta), in order of falling intensity:
| 2θ (°) | I_rel |
| --- | --- |
| 39.09 | 100 |
| 39.56 | 74 |
| 27.50 | 49 |
| 38.79 | 30 |